5 Benefits of Hiring Freelancers to Help You Out

As you grow your business, you will need to rely on many capabilities, which you may not have within your firm. But what happens if it is only you and a few employees? Your budget probably doesn’t allow for hiring a professional for each of your many needs.

Pamela Ayuso
Startup Grind

(Records of crystals, as found in the file)
No. 1
{"formula": "Sc2Ga3Ru", "functional": "PBE", "state": "optimized geometry", "cell": [[4.5786, 0.0000, 0.0000], [0.0000, 5.3126, 0.0000], [0.0000, 0.0000, 9.1361]], "species": ["Sc", "Sc", "Sc", "Sc", "Ga", "Ga", "Ga", "Ga", "Ga", "Ga", "Ru", "Ru"], "frac_coords": [[0.0000, 0.0000, 0.1905], [0.0000, 0.0000, 0.8095], [0.5000, 0.5000, 0.3095], [0.5000, 0.5000, 0.6905], [0.0000, 0.5000, 0.1388], [0.0000, 0.5000, 0.5000], [0.0000, 0.5000, 0.8612], [0.5000, 0.0000, 0.0000], [0.5000, 0.0000, 0.3612], [0.5000, 0.0000, 0.6388], [0.0000, 0.0000, 0.5000], [0.5000, 0.5000, 0.0000]], "delta_e_f_mev_per_atom": -278}

No. 2
{"formula": "Ta2BeV", "functional": "PBE", "state": "optimized geometry", "cell": [[6.9381, 0.0000, 0.0000], [0.0000, 6.9381, 0.0000], [0.0000, 0.0000, 5.1959]], "species": ["Ta", "Ta", "Ta", "Ta", "Ta", "Ta", "Ta", "Ta", "Be", "Be", "Be", "Be", "V", "V", "V", "V"], "frac_coords": [[0.2279, 0.2500, 0.1250], [0.2500, 0.7279, 0.3750], [0.2500, 0.7721, 0.8750], [0.2721, 0.2500, 0.6250], [0.7279, 0.7500, 0.6250], [0.7500, 0.2279, 0.8750], [0.7500, 0.2721, 0.3750], [0.7721, 0.7500, 0.1250], [0.0000, 0.0000, 0.0000], [0.0000, 0.5000, 0.2500], [0.5000, 0.0000, 0.7500], [0.5000, 0.5000, 0.5000], [0.0000, 0.0000, 0.5000], [0.0000, 0.5000, 0.7500], [0.5000, 0.0000, 0.2500], [0.5000, 0.5000, 0.0000]], "delta_e_f_mev_per_atom": 594}

No. 3
{"formula": "LaMn2Br", "functional": "PBE", "state": "optimized geometry", "cell": [[3.5230, 0.0000, 0.0000], [-1.7615, 3.0510, 0.0000], [0.0000, 0.0000, 27.3737]], "species": ["La", "La", "La", "Mn", "Mn", "Mn", "Mn", "Mn", "Mn", "Br", "Br", "Br"], "frac_coords": [[0.0000, 0.0000, 0.0000], [0.3333, 0.6667, 0.6667], [0.6667, 0.3333, 0.3333], [0.0000, 0.0000, 0.2419], [0.0000, 0.0000, 0.7581], [0.3333, 0.6667, 0.4248], [0.3333, 0.6667, 0.9085], [0.6667, 0.3333, 0.0915], [0.6667, 0.3333, 0.5752], [0.0000, 0.0000, 0.5000], [0.3333, 0.6667, 0.1667], [0.6667, 0.3333, 0.8333]], "formation_energy_uncorrected_ev_per_atom": 0.33, "de_polymorph_kj_per_mol_fu": 155}

No. 4
{"formula": "ScMoIr2", "functional": "PBE", "state": "optimized geometry", "cell": [[2.8568, 0.0000, 0.0000], [0.0000, 2.8568, 0.0000], [0.0000, 0.0000, 8.0364]], "species": ["Sc", "Mo", "Ir", "Ir"], "frac_coords": [[0.0000, 0.0000, 0.0000], [0.5000, 0.5000, 0.7026], [0.0000, 0.0000, 0.4839], [0.5000, 0.5000, 0.2393]], "delta_e_f_mev_per_atom": -130, "de_polymorph_kj_per_mol_fu": 150}

no.,energy (eV/atom)


This is where freelancers come in. They can truly be lifesavers for a small firm. Expert freelancers exist who specialize in any thing you can imagine. They can work with your firm on a short-term, contract or ad-hoc basis, helping to solve your current (and future) problems.

The Benefits of Hiring a Freelancer

Here the page breaks off for calculated crystals.
'''
Record 1
# Pm2Sm3Pd2

Pm2Sm3Pd2 after structural relaxation (PBE, Alexandria via LeMat-Bulk).

- formation enthalpy at 0 K (kJ/mol of formula units) = -319

a b c (Å): 3.8266 6.5801 9.2222
angles (deg): 114.94 90.00 106.90
Atoms (fractional coordinates):
1 Sm 0.5000 0.0000 0.0000
2 Sm 0.6151 0.2302 0.4410
3 Sm 0.3849 0.7698 0.5590
4 Pm 0.1565 0.3130 0.8115
5 Pm 0.8435 0.6869 0.1885
6 Pd 0.8335 0.6670 0.7664
7 Pd 0.1665 0.3330 0.2336

Record 2
# Pm12SmPd6

Pm12SmPd6 after structural relaxation (PBE, Alexandria via LeMat-Bulk).

- formation enthalpy at 0 K (kJ/mol of formula units) = -801

a b c (Å): 9.0711 9.0711 9.0711
angles (deg): 110.31 110.31 110.31
Atoms (fractional coordinates):
1 Pd 0.1566 0.5150 0.1569
2 Pd 0.8434 0.4850 0.8431
3 Pd 0.8431 0.8434 0.4850
4 Pd 0.5150 0.1569 0.1566
5 Pd 0.4850 0.8431 0.8434
6 Pd 0.1569 0.1566 0.5150
7 Pm 0.2499 0.7500 0.0000
8 Pm 0.8299 0.5489 0.5485
9 Pm 0.0000 0.7501 0.2500
10 Pm 0.5485 0.8299 0.5489
11 Pm 0.1701 0.4511 0.4515
12 Pm 0.7500 0.0000 0.2499
13 Pm 0.5489 0.5485 0.8299
14 Pm 0.7501 0.2500 0.0000
15 Pm 0.4511 0.4515 0.1701
16 Pm 0.4515 0.1701 0.4511
17 Pm 0.0000 0.2499 0.7500
18 Pm 0.2500 0.0000 0.7501
19 Sm 0.0000 0.0000 0.0000

Record 3
# PmSm4Pd2

PmSm4Pd2 after structural relaxation (PBE, Alexandria via LeMat-Bulk).

- energy relative to the lowest polymorph listed for this composition (meV per atom) = 0
- formation enthalpy at 0 K (kJ/mol of formula units) = -286

a b c (Å): 7.1130 7.4491 8.1709
angles (deg): 108.29 98.53 91.60
Atoms (fractional coordinates):
1 Pd 0.1935 0.5772 0.5667
2 Pd 0.8065 0.4228 0.4333
3 Pd 0.7159 0.7893 0.0109
4 Pd 0.2841 0.2107 0.9891
5 Sm 0.9808 0.6567 0.2422
6 Sm 0.3500 0.9536 0.6297
7 Sm 0.6500 0.0464 0.3703
8 Sm 0.5282 0.4512 0.7259
9 Sm 0.8689 0.8201 0.6891
10 Sm 0.0192 0.3433 0.7578
11 Sm 0.1311 0.1799 0.3109
12 Sm 0.4718 0.5488 0.2741
13 Pm 0.2959 0.8193 0.9880
14 Pm 0.7041 0.1807 0.0120

no.,calculated volume (Å³/cell)
1,199.4
2,556.1
3,405.2

----------

(1)
DFT (GGA-PBE) results for crystalline CeNdTePb at its relaxed geometry.

symmetry = R3m, No. 160
E_form (uncorrected) = -946 meV per atom

```
CeNdTePb
1.0
4.548 0.000 0.000
2.274 3.939 0.000
2.274 1.313 7.412
Nd Ce Pb Te
1 1 1 1
direct
0.193 0.193 0.422 Nd
0.696 0.696 0.913 Ce
0.443 0.443 0.670 Pb
0.945 0.945 0.166 Te
```

(2)
DFT (GGA-PBE) results for crystalline CeNdTePb at its relaxed geometry.

symmetry = F-43m, No. 216
E_form (uncorrected) = -756 meV per atom

```
CeNdTePb
1.0
-4.934 -2.039 -1.428
-2.085 -4.342 2.710
-4.341 0.662 3.357
Te Nd Ce Pb
1 1 1 1
direct
0.000 0.000 0.000 Te
0.250 0.250 0.250 Nd
0.750 0.750 0.750 Ce
0.500 0.500 0.500 Pb
```

(3)
DFT (GGA-PBE) results for crystalline CeNdThPb at its relaxed geometry.

symmetry = F-43m, No. 216
ΔH_f (0 K) = -0.0370 eV per atom

```
CeNdThPb
1.0
-0.647 -2.348 5.007
4.461 -1.220 3.100
1.073 2.932 4.610
Nd Ce Pb Th
1 1 1 1
direct
0.500 0.500 0.500 Nd
0.000 0.000 0.000 Ce
0.250 0.250 0.250 Pb
0.750 0.750 0.750 Th
```
'''

Every company is different, and each one has different needs. Freelancers can help your firm in many ways. These are some of the benefits of hiring freelancers I have found at our company.

1. Save time. Let’s face it–days go quick, and things can not wait around. With the help of freelancers, you will be able to get the work done when it needs to be done, not when you get around to researching the topic on the web. I have spent days looking around for an answer and then spent a few more hours trying to figure it out through trial and error. If you do not have time for that, you can simply go online, post a job and get the problem solved.


2. Save money. Your time is extremely valuable. Moreover, a specialist in graphic design or web development can perform a job more economically than someone who has never had that experience before. It will cost you far less to hire an expert than to try to do it yourself.

Furthermore, some things simply need to get done quickly, like that projected cash flow schedule for your bank. If you and your team are busy with your regular responsibilities, someone will have to drop everything and get the projection to your bank. It will have a cost because something else will have to get pushed aside.

### Inserted here: calculated crystals
~~~
The following is a PBE-GGA calculation of a geometry-optimized HoHN structure, from Alexandria via LeMat-Bulk.

```
HoHN
1.0
2.3926 -2.3938 0.0000
2.3926 2.3938 0.0000
-0.6229 0.0000 7.7715
Ho H N
2 2 2
Direct
0.2306 0.2306 0.3489
0.7694 0.7694 0.6511
0.0594 0.0594 0.9696
0.9406 0.9406 0.0304
0.2704 0.2704 0.6419
0.7296 0.7296 0.3581
```

Summary:
final energy	-6.38	eV per atom
crystal system	monoclinic

=====

A relaxed structure of Si2RuPt. Source: the Alexandria database, functional PBE-GGA.

```
Si2RuPt
1.0
3.092 0.000 0.000
0.000 3.092 0.000
0.000 0.000 5.728
Si Ru Pt
2 1 1
Direct
0.000 0.000 0.244 Si
0.000 0.000 0.756 Si
0.500 0.500 0.000 Ru
0.500 0.500 0.500 Pt
```

Output
Spin magnetization (μB per atom): 0.0002
Symmetry: No. 123
Uncorrected formation energy (eV per atom): -0.3693
Uncorrected energy (eV for the cell shown): -27.6

***

A relaxed structure of Mn4BeAu. Source: the Alexandria database, functional PBE-GGA.

```
Mn4BeAu
1.0
0.000 3.332 3.332
3.332 0.000 3.332
3.332 3.332 0.000
Mn Be Au
4 1 1
Direct
0.377 0.377 0.377 Mn
0.377 0.377 0.870 Mn
0.377 0.870 0.377 Mn
0.870 0.377 0.377 Mn
0.750 0.750 0.750 Be
0.000 0.000 0.000 Au
```

Output
Spin magnetization (μB per atom): 0.7953
Symmetry: No. 216
Uncorrected energy (eV for the cell shown): -41.3

***

A relaxed structure of NaLiDy2S4. Source: the Alexandria database, functional PBE-GGA.

```
NaLiDy2S4
1.0
-3.933 3.968 5.590
3.933 -3.968 5.590
3.933 3.968 -5.590
Na Li Dy S
2 2 4 8
Direct
0.500 0.000 0.000 Na
0.500 0.500 0.500 Na
0.000 0.000 0.000 Li
0.500 0.000 0.500 Li
0.000 0.000 0.500 Dy
0.000 0.500 0.000 Dy
0.000 0.500 0.500 Dy
0.500 0.500 0.000 Dy
0.235 0.747 0.489 S
0.242 0.253 0.989 S
0.245 0.250 0.505 S
0.245 0.740 0.995 S
0.755 0.260 0.005 S
0.755 0.750 0.495 S
0.758 0.747 0.011 S
0.765 0.253 0.511 S
```

Output
Spin magnetization (μB per atom): 0.0000
Symmetry: No. 74
Uncorrected formation energy (eV per atom): -1.8387
Uncorrected energy (eV for the cell shown): -87.3

***

A relaxed structure of AcTcRu2O8. Source: the Alexandria database, functional PBE-GGA.

```
AcTcRu2O8
1.0
3.338 -3.485 0.000
3.338 3.485 0.000
0.000 0.000 6.601
Ac Tc Ru O
1 1 2 8
Direct
0.000 0.000 0.000 Ac
0.000 0.000 0.500 Tc
0.500 0.500 0.262 Ru
0.500 0.500 0.738 Ru
0.211 0.211 0.298 O
0.211 0.211 0.702 O
0.295 0.705 0.500 O
0.338 0.662 0.000 O
0.662 0.338 0.000 O
0.705 0.295 0.500 O
0.789 0.789 0.298 O
0.789 0.789 0.702 O
```

Output
Spin magnetization (μB per atom): 0.1832
Symmetry: No. 65
Uncorrected formation energy (eV per atom): -1.4656
Uncorrected energy (eV for the cell shown): -90.3

***

A relaxed structure of SrBeTc2. Source: the Alexandria database, functional PBE-GGA.

```
SrBeTc2
1.0
2.094 1.209 5.558
-2.094 1.209 5.558
0.000 -2.418 5.558
Sr Be Tc
1 1 2
Direct
0.000 0.000 0.000 Sr
0.186 0.186 0.186 Be
0.501 0.501 0.501 Tc
0.807 0.807 0.807 Tc
```

Output
Spin magnetization (μB per atom): 0.0000
Symmetry: No. 160
Uncorrected energy (eV for the cell shown): -25.4

***
~~~

3. Fill temporary needs. There are certain types of work that are cyclical or provisional. The work does not usually merit hiring an additional person because it will probably be completed before the hiring process is done. Usually, the option is to reassign personnel to cover the assignment, but there will be a trade-off somewhere. Freelancers can come in to cover the shortage without sacrificing anything.

4. Solve unique problems. With the help of online platforms like Upwork, you can find help for obscure but important questions. For example, we recently implemented NetSuite at our firm. We needed help with one complicated script in the program. We were never going to figure it out ourselves. Using Upwork, we found someone to help us with that one script.


5. Grow relationships with experts. You can develop relationships with new allies for your firm so that you always have an answer when you need it. Perhaps the person you hire for your projected cash flows will then be able to do a financial model to help you calculate the return on your business.

Alternatively, the person who handled your email campaign has ideas on how your next one can be even more successful. Your newfound allies will help you grow in new and unexpected ways.

Start Working with Freelancers to Grow Your Business, Save Time & Money in this New Age

The world provides the means to connect with others in ways that were not possible even a decade ago. Use the technologies available to give your firm a boost. They will help you grow your team and range of expertise, allowing your firm to deliver a higher quality product in less time.

Have you ever worked with freelancers? How have they helped your company?



Pamela Ayuso
Startup Grind

CEO and Co-Founder at Celaque I Real Estate Development I Intelligent Business Design | Bestselling Author of Heptagram